# What to do
It remains to echo every line further below that contains the word "Tb1".

# Listing
- - -
Arrangement A

A plane-wave DFT calculation with PBE-GGA was carried out for crystalline LaDy2Sc at its relaxed geometry.

## Properties
- Magnetic moment: 0.000 μB/atom
- Crystal system: tetragonal
- Density of states at the Fermi level: 7.56 states/eV/cell
- Space-group type: P4/mmm (123)

Cell lengths 3.534, 3.534, 9.967 Å; angles 90.00, 90.00, 90.00 degrees
Atoms (fractional coordinates):
Sc: 0.500 0.500 0.000
Dy: 0.000 0.000 0.770
Dy: 0.000 0.000 0.230
La: 0.500 0.500 0.500



Arrangement B

A plane-wave DFT calculation with PBE-GGA was carried out for crystalline LaDy2Sc at its relaxed geometry.

## Properties
- Magnetic moment: 0.000 μB/atom
- Crystal system: monoclinic
- Density of states at the Fermi level: 5.24 states/eV/cell
- Space-group type: Cm (8)

Cell lengths 3.545, 6.071, 7.792 Å; angles 50.03, 103.12, 106.96 degrees
Atoms (fractional coordinates):
Sc: 0.726 0.059 0.768
Dy: 0.981 0.813 0.524
Dy: 0.226 0.558 0.271
La: 0.472 0.302 0.016



Arrangement C

A plane-wave DFT calculation with PBE-GGA was carried out for crystalline LaDy2Sc at its relaxed geometry.

## Properties
- Magnetic moment: 0.005 μB/atom
- Crystal system: cubic
- Density of states at the Fermi level: 9.53 states/eV/cell
- Space-group type: Fm-3m (225)

Cell lengths 5.621, 5.621, 5.621 Å; angles 60.00, 60.00, 60.00 degrees
Atoms (fractional coordinates):
La: 0.500 0.500 0.500
Dy: 0.750 0.750 0.750
Dy: 0.250 0.250 0.250
Sc: 0.000 0.000 0.000



arrangement B is the most stable structure; the next one sits 0.011 eV/atom above it.

~~~~~

Record 1
# Co2B3W2 PBE optimized geometry
data_Co2B3W2
_chemical_formula_sum 'Co2 B3 W2'
_symmetry_space_group_name_H-M 'P 1'
_symmetry_Int_Tables_number 1
_symmetry_space_group_name_Hall 'P 1'
_cell_length_a 4.9465
_cell_length_b 4.9465
_cell_length_c 5.4010
_cell_angle_alpha 118.30
_cell_angle_beta 118.30
_cell_angle_gamma 36.88
loop_
_atom_site_label
_atom_site_fract_x
_atom_site_fract_y
_atom_site_fract_z
Co1 0.1525 0.1525 0.2837
Co2 0.8475 0.8475 0.7163
B1 0.4273 0.4273 0.5734
B2 0.5000 0.5000 0.0000
B3 0.5727 0.5727 0.4266
W1 0.1424 0.1424 0.7822
W2 0.8576 0.8576 0.2178
# Formation energy from the elements, eV/atom: -0.1979

---

Record 2
# TbPmSm3 PBE optimized geometry
data_TbPmSm3
_chemical_formula_sum 'Tb2 Pm2 Sm6'
_symmetry_space_group_name_H-M 'P 1'
_symmetry_Int_Tables_number 1
_symmetry_space_group_name_Hall 'P 1'
_cell_length_a 6.3456
_cell_length_b 6.8837
_cell_length_c 9.3591
_cell_angle_alpha 108.59
_cell_angle_beta 90.01
_cell_angle_gamma 117.43
loop_
_atom_site_label
_atom_site_fract_x
_atom_site_fract_y
_atom_site_fract_z
Tb1 0.1345 0.0987 0.3512
Tb2 0.8655 0.9013 0.6488
Pm1 0.4665 0.1000 0.8485
Pm2 0.5335 0.9000 0.1515
Sm1 0.0649 0.2991 0.0514
Sm2 0.2664 0.6985 0.4514
Sm3 0.3336 0.4989 0.7503
Sm4 0.6664 0.5011 0.2497
Sm5 0.7336 0.3015 0.5486
Sm6 0.9351 0.7009 0.9486
# Formation energy from the elements, eV/atom: 0.0259
# Energy above the lowest structure with this stoichiometry, eV/atom: 0.000

---

Record 3
# Fe2BMoS PBE optimized geometry
data_Fe2BMoS
_chemical_formula_sum 'Fe2 B1 Mo1 S1'
_symmetry_space_group_name_H-M 'P 1'
_symmetry_Int_Tables_number 1
_symmetry_space_group_name_Hall 'P 1'
_cell_length_a 4.6643
_cell_length_b 4.6643
_cell_length_c 4.0415
_cell_angle_alpha 90.00
_cell_angle_beta 90.00
_cell_angle_gamma 90.00
loop_
_atom_site_label
_atom_site_fract_x
_atom_site_fract_y
_atom_site_fract_z
Fe1 0.0000 0.5000 0.0000
Fe2 0.5000 0.0000 0.0000
B1 0.0000 0.0000 0.5000
Mo1 0.0000 0.0000 0.0000
S1 0.5000 0.5000 0.5000
# Formation energy (no corrections), meV/atom: 1667.2

---

Record 4
# AlRe2Pd PBE optimized geometry
data_AlRe2Pd
_chemical_formula_sum 'Al2 Re4 Pd2'
_symmetry_space_group_name_H-M 'P 1'
_symmetry_Int_Tables_number 1
_symmetry_space_group_name_Hall 'P 1'
_cell_length_a 5.6429
_cell_length_b 5.6429
_cell_length_c 5.6429
_cell_angle_alpha 101.93
_cell_angle_beta 101.93
_cell_angle_gamma 125.92
loop_
_atom_site_label
_atom_site_fract_x
_atom_site_fract_y
- - -

# Written answer
Tb1 0.1345 0.0987 0.3512